-- Data --
+++
Entry 1:
A relaxed Li6Bi2O crystal. Source: the Alexandria database, functional PBE.

Unit cell a=6.1126 b=6.1126 c=6.1126 alpha=119.36 beta=119.36 gamma=91.12
Closest atoms and distances in Å follow each position.
Fractional positions:
Li1 0.2185 0.2185 0.4370  1 O 1.91
Li2 0.2185 0.7815 0.0000  1 O 1.91
Li3 0.2224 0.2224 0.0000  1 O 1.90
Li4 0.7776 0.7776 0.0000  1 O 1.90
Li5 0.7815 0.2185 0.0000  1 O 1.91
Li6 0.7815 0.7815 0.5630  1 O 1.91
Bi1 0.2500 0.7500 0.5000  12 Li 3.07-3.09
Bi2 0.7500 0.2500 0.5000  12 Li 3.07-3.09
O1 0.0000 0.0000 0.0000  6 Li 1.90-1.91

## Properties
**ΔE_f (raw)**: -7.63 eV/f.u.
**Size of the total moment**: 0.00 μB per cell
**Space-group type**: I4/mmm, No. 139

=====

Entry 2:
A relaxed TbDyZnIn crystal. Source: the Alexandria database, functional PBE.

Unit cell a=3.6471 b=3.6471 c=7.4506 alpha=90.00 beta=90.00 gamma=90.00
Closest atoms and distances in Å follow each position.
Fractional positions:
Tb1 0.0000 0.0000 0.0000  4 Zn 3.11, 4 In 3.28, 1 Dy 3.43
Dy1 0.0000 0.0000 0.5393  4 Zn 3.09, 4 In 3.26, 1 Tb 3.43
Zn1 0.5000 0.5000 0.7671  4 Dy 3.09, 4 Tb 3.11
In1 0.5000 0.5000 0.2711  4 Dy 3.26, 4 Tb 3.28, 4 In 3.65

## Properties
**Size of the total moment**: 0.00 μB per cell
**E_form**: -0.4188 eV per atom
**Polymorph energy (0 for the lowest one)**: 0 meV per atom
**Space-group type**: P4mm, No. 99

=====

Entry 3:
A relaxed PaSbRu2 crystal. Source: the Alexandria database, functional PBE.

Unit cell a=4.7693 b=4.7693 c=12.1078 alpha=90.00 beta=90.00 gamma=120.00
Closest atoms and distances in Å follow each position.
Fractional positions:
Pa1 0.0000 0.0000 0.0000  2 Ru 2.52
Pa2 0.3333 0.6667 0.6667  2 Ru 2.52
Pa3 0.6667 0.3333 0.3333  2 Ru 2.52
Sb1 0.0000 0.0000 0.5000  6 Ru 2.80
Sb2 0.3333 0.6667 0.1667  6 Ru 2.80
Sb3 0.6667 0.3333 0.8333  6 Ru 2.80
Ru1 0.0000 0.0000 0.2083  1 Pa 2.52, 3 Sb 2.80
Ru2 0.0000 0.0000 0.7917  1 Pa 2.52, 3 Sb 2.80
Ru3 0.3333 0.6667 0.4583  1 Pa 2.52, 3 Sb 2.80
Ru4 0.3333 0.6667 0.8750  1 Pa 2.52, 3 Sb 2.80
Ru5 0.6667 0.3333 0.1250  1 Pa 2.52, 3 Sb 2.80
Ru6 0.6667 0.3333 0.5417  1 Pa 2.52, 3 Sb 2.80

## Properties
**ΔE_f (raw)**: -1.47 eV/f.u.
**Size of the total moment**: 0.00 μB per cell
**Polymorph energy (0 for the lowest one)**: 0 meV per atom
**Space-group type**: R-3m, No. 166

=====

Entry 4:
A relaxed CaEr2NpO8 crystal. Source: the Alexandria database, functional PBE.

Unit cell a=3.9355 b=7.5141 c=5.2107 alpha=90.00 beta=92.50 gamma=90.00
Closest atoms and distances in Å follow each position.
Fractional positions:
Ca1 0.0000 0.0000 0.0000  8 O 2.37-2.50
Er1 0.5000 0.2554 0.5000  8 O 2.27-2.40
Er2 0.5000 0.7446 0.5000  8 O 2.27-2.40
Np1 0.0000 0.5000 0.0000  6 O 2.05-2.18
O1 0.0171 0.2859 0.7564  1 Np 2.05
O2 0.0171 0.7141 0.7564  1 Np 2.05
O3 0.4749 0.5000 0.2324  2 Np 2.18-2.44, 2 Er 2.31, 1 O 2.44
O4 0.5003 0.0000 0.2691  2 Er 2.27, 2 Ca 2.37-2.46, 1 O 2.41
O5 0.4997 0.0000 0.7309  2 Er 2.27, 2 Ca 2.37-2.46, 1 O 2.41
O6 0.5251 0.5000 0.7676  2 Np 2.18-2.44, 2 Er 2.31, 1 O 2.44
O7 0.9829 0.2859 0.2436  1 Np 2.05
O8 0.9829 0.7141 0.2436  1 Np 2.05

## Properties
**ΔE_f (raw)**: -35.07 eV/f.u.
**Size of the total moment**: 0.59 μB per cell
**Space-group type**: P2/m, No. 10

=====

Entry 5:
A relaxed CaHf2CuN4 crystal. Source: the Alexandria database, functional PBE.

Unit cell a=5.6851 b=5.6851 c=11.1974 alpha=90.00 beta=90.00 gamma=146.81
Closest atoms and distances in Å follow each position.
Fractional positions:
Ca1 0.1069 0.8931 0.7500  6 N 2.43-2.69
Ca2 0.8931 0.1069 0.2500  6 N 2.43-2.69
Hf1 0.3671 0.6329 0.5529  6 N 2.12-2.35
Hf2 0.3671 0.6329 0.9471  6 N 2.12-2.35
Hf3 0.6329 0.3671 0.0529  6 N 2.12-2.35
Hf4 0.6329 0.3671 0.4471  6 N 2.12-2.35
Cu1 0.1593 0.8407 0.2500  4 N 1.95-1.96
Cu2 0.8407 0.1593 0.7500  4 N 1.95-1.96
N1 0.0000 0.0000 0.0000  4 Hf 2.25
N2 0.0000 0.0000 0.5000  4 Hf 2.25
N3 0.2624 0.7376 0.1064  1 Cu 1.96, 1 Hf 2.12
N4 0.2624 0.7376 0.3936  1 Cu 1.96, 1 Hf 2.12
N5 0.4406 0.5594 0.7500  2 Cu 1.95
+++

-- Activity --
Filter the contents above: keep the lines with the word "O4".

-- Done --
O4 0.5003 0.0000 0.2691  2 Er 2.27, 2 Ca 2.37-2.46, 1 O 2.41